Data >
'''
Record 1
An optimized crystal structure of MgCuPO4, computed with PBE.

Output
As for the energy above the most stable polymorph in this dataset: 137 meV/atom. The total energy is -6.26 eV per atom. The crystal system is tetragonal. The value obtained for the MP2020-corrected energy is -6.657 eV per atom. The total magnetization comes out at 0.0 μB/cell. Its space group is No. 82.

a = 5.7740 Å, b = 4.8696 Å, c = 5.7740 Å
α = 53.64°, β = 90.00°, γ = 53.64°
Positions (direct):
1 O 0.2698 0.1314 0.0672
2 O 0.9328 0.8686 0.4012
3 O 0.5988 0.1314 0.8014
4 Mg 0.7500 0.5000 0.2500
5 Cu 0.0000 0.0000 0.0000
6 O 0.1986 0.8686 0.7302
7 P 0.2500 0.5000 0.7500

---

Record 2
An optimized crystal structure of SmGa3Ni, computed with PBE.

Output
As for the energy above the most stable polymorph in this dataset: 71 meV/atom. The total energy is -4.45 eV per atom. The crystal system is tetragonal. The total magnetization comes out at 0.0 μB/cell. Its space group is No. 119.

a = 6.0467 Å, b = 6.0467 Å, c = 6.0467 Å
α = 140.38°, β = 140.38°, γ = 57.28°
Positions (direct):
1 Ni 0.2500 0.7500 0.5000
2 Ga 0.7500 0.2500 0.5000
3 Ga 0.6174 0.6174 0.0000
4 Sm 0.0000 0.0000 0.0000
5 Ga 0.3826 0.3826 0.0000

---

Record 3
An optimized crystal structure of SnNF3, computed with PBE.

Output
As for the energy above the most stable polymorph in this dataset: 509 meV/atom. The total energy is -4.20 eV per atom. The crystal system is trigonal. The value obtained for the MP2020-corrected energy is -4.480 eV per atom. The total magnetization comes out at 6.0 μB/cell. Its space group is No. 148.

a = 5.7901 Å, b = 5.7901 Å, c = 5.7901 Å
α = 64.87°, β = 64.87°, γ = 64.87°
Positions (direct):
1 N 0.6180 0.6180 0.6180
2 F 0.7825 0.5039 0.0318
3 F 0.4961 0.9682 0.2175
4 F 0.0318 0.7825 0.5039
5 F 0.9682 0.2175 0.4961
6 N 0.3820 0.3820 0.3820
7 Sn 0.1295 0.1295 0.1295
8 F 0.5039 0.0318 0.7825
9 F 0.2175 0.4961 0.9682
10 Sn 0.8705 0.8705 0.8705

---

Record 4
An optimized crystal structure of Ba4In2O7, computed with PBE.

Output
As for the energy above the most stable polymorph in this dataset: 31 meV/atom. The total energy is -5.74 eV per atom. The crystal system is tetragonal. The value obtained for the MP2020-corrected energy is -6.112 eV per atom. The total magnetization comes out at 0.0 μB/cell. Its space group is No. 107.

a = 14.8323 Å, b = 14.8323 Å, c = 14.8323 Å
α = 163.61°, β = 163.61°, γ = 23.26°
Positions (direct):
1 Ba 0.7896 0.7896 0.0000
2 O 0.3864 0.8864 0.5000
3 In 0.3636 0.3636 0.0000
4 O 0.1282 0.6282 0.5000
5 In 0.6260 0.6260 0.0000
6 Ba 0.1924 0.1924 0.0000
7 O 0.8864 0.3864 0.5000
8 Ba 0.9373 0.9373 0.0000
9 O 0.7081 0.7081 0.0000
10 O 0.2923 0.2923 0.0000
11 O 0.6282 0.1282 0.5000
12 Ba 0.0651 0.0651 0.0000
13 O 0.5451 0.5451 0.0000
'''

Brief >
Now give back the whole of the calculation results further up exactly.

Result >
Record 1
An optimized crystal structure of MgCuPO4, computed with PBE.

Output
As for the energy above the most stable polymorph in this dataset: 137 meV/atom. The total energy is -6.26 eV per atom. The crystal system is tetragonal. The value obtained for the MP2020-corrected energy is -6.657 eV per atom. The total magnetization comes out at 0.0 μB/cell. Its space group is No. 82.

a = 5.7740 Å, b = 4.8696 Å, c = 5.7740 Å
α = 53.64°, β = 90.00°, γ = 53.64°
Positions (direct):
1 O 0.2698 0.1314 0.0672
2 O 0.9328 0.8686 0.4012
3 O 0.5988 0.1314 0.8014
4 Mg 0.7500 0.5000 0.2500
5 Cu 0.0000 0.0000 0.0000
6 O 0.1986 0.8686 0.7302
7 P 0.2500 0.5000 0.7500

---

Record 2
An optimized crystal structure of SmGa3Ni, computed with PBE.

Output
As for the energy above the most stable polymorph in this dataset: 71 meV/atom. The total energy is -4.45 eV per atom. The crystal system is tetragonal. The total magnetization comes out at 0.0 μB/cell. Its space group is No. 119.

a = 6.0467 Å, b = 6.0467 Å, c = 6.0467 Å
α = 140.38°, β = 140.38°, γ = 57.28°
Positions (direct):
1 Ni 0.2500 0.7500 0.5000
2 Ga 0.7500 0.2500 0.5000
3 Ga 0.6174 0.6174 0.0000
4 Sm 0.0000 0.0000 0.0000
5 Ga 0.3826 0.3826 0.0000

---

Record 3
An optimized crystal structure of SnNF3, computed with PBE.

Output
As for the energy above the most stable polymorph in this dataset: 509 meV/atom. The total energy is -4.20 eV per atom. The crystal system is trigonal. The value obtained for the MP2020-corrected energy is -4.480 eV per atom. The total magnetization comes out at 6.0 μB/cell. Its space group is No. 148.

a = 5.7901 Å, b = 5.7901 Å, c = 5.7901 Å
α = 64.87°, β = 64.87°, γ = 64.87°
Positions (direct):
1 N 0.6180 0.6180 0.6180
2 F 0.7825 0.5039 0.0318
3 F 0.4961 0.9682 0.2175
4 F 0.0318 0.7825 0.5039
5 F 0.9682 0.2175 0.4961
6 N 0.3820 0.3820 0.3820
7 Sn 0.1295 0.1295 0.1295
8 F 0.5039 0.0318 0.7825
9 F 0.2175 0.4961 0.9682
10 Sn 0.8705 0.8705 0.8705

---

Record 4
An optimized crystal structure of Ba4In2O7, computed with PBE.

Output
As for the energy above the most stable polymorph in this dataset: 31 meV/atom. The total energy is -5.74 eV per atom. The crystal system is tetragonal. The value obtained for the MP2020-corrected energy is -6.112 eV per atom. The total magnetization comes out at 0.0 μB/cell. Its space group is No. 107.

a = 14.8323 Å, b = 14.8323 Å, c = 14.8323 Å
α = 163.61°, β = 163.61°, γ = 23.26°
Positions (direct):
1 Ba 0.7896 0.7896 0.0000
2 O 0.3864 0.8864 0.5000
3 In 0.3636 0.3636 0.0000
4 O 0.1282 0.6282 0.5000
5 In 0.6260 0.6260 0.0000
6 Ba 0.1924 0.1924 0.0000
7 O 0.8864 0.3864 0.5000
8 Ba 0.9373 0.9373 0.0000
9 O 0.7081 0.7081 0.0000
10 O 0.2923 0.2923 0.0000
11 O 0.6282 0.1282 0.5000
12 Ba 0.0651 0.0651 0.0000
13 O 0.5451 0.5451 0.0000